In the intricate dance of societal progress and collective awareness, the 21st century emerges as an era marked by a profound transformation—one driven by the relentless pursuit of time consciousness. At the forefront of this awakening stands Consumers United, not just as a platform but as a catalyst for change, promising a future where time is not merely spent but valued and rewarded.
The Awakening: From Passivity to Thrilling Engagement
Someone pasted calculated crystals at this point
DFT (PBE with a Hubbard U) results for an optimized crystal structure of Mn3AlF15.

The structure belongs to space group P2_1/m (No. 11); the cell edges are 5.7010, 10.6070 and 9.2437 Å and the angles 90.00°, 106.15° and 90.00°. The distinct sites, in fractional coordinates, are Mn at (0.0000, 0.0000, 0.0000), Mn at (0.0035, 0.0014, 0.3321), Al at (0.4686, 0.7500, 0.7466), F at (0.1201, 0.0973, 0.1808), F at (0.1222, 0.0927, 0.5244), F at (0.1248, 0.0910, 0.8589), F at (0.2699, 0.5897, 0.3780), F at (0.2722, 0.5915, 0.0471), F at (0.2763, 0.6165, 0.7125), F at (0.3565, 0.2500, 0.7186), F at (0.3867, 0.2500, 0.3878) and F at (0.3876, 0.2500, 0.0718).

The raw total energy is -5.021 eV/atom. The value obtained for the formation energy is -2.49 eV per atom. As for the crystal system: monoclinic. As for the MP2020-corrected energy: -5.65 eV per atom. For the magnetization, the calculation gives 22.00 μB/cell.

---

DFT (PBE with a Hubbard U) results for an optimized crystal structure of MnAlF5.

The structure belongs to space group Immm (No. 71); the cell edges are 3.6372, 6.3854 and 7.6768 Å and the angles 90.00°, 90.00° and 90.00°. The distinct sites, in fractional coordinates, are Mn at (0.0000, 0.0000, 0.0000), Al at (0.0000, 0.0000, 0.5000), F at (0.0000, 0.0000, 0.2663), F at (0.0000, 0.2905, 0.5000) and F at (0.0000, 0.5000, 0.0000).

The raw total energy is -6.116 eV/atom. The value obtained for the formation energy is -3.47 eV per atom. As for the crystal system: orthorhombic. As for the MP2020-corrected energy: -6.68 eV per atom.

---

DFT (PBE with a Hubbard U) results for an optimized crystal structure of AlMo3F15.

The structure belongs to space group P2_1/m (No. 11); the cell edges are 6.0412, 9.9867 and 10.1116 Å and the angles 90.00°, 104.86° and 90.00°. The distinct sites, in fractional coordinates, are Al at (0.0341, 0.2500, 0.2609), Mo at (0.4800, 0.5460, 0.3327), Mo at (0.5000, 0.0000, 0.0000), F at (0.0979, 0.7500, 0.6145), F at (0.1218, 0.7500, 0.9011), F at (0.2068, 0.1036, 0.2839), F at (0.2171, 0.1167, 0.6194), F at (0.2283, 0.1067, 0.9552), F at (0.3551, 0.6104, 0.1266), F at (0.3854, 0.5916, 0.5160), F at (0.3923, 0.7500, 0.3311) and F at (0.3983, 0.5785, 0.7980).

The raw total energy is -5.330 eV/atom. The value obtained for the formation energy is -2.78 eV per atom. As for the crystal system: monoclinic. As for the MP2020-corrected energy: -6.20 eV per atom. For the magnetization, the calculation gives 12.00 μB/cell.

---

DFT (PBE with a Hubbard U) results for an optimized crystal structure of Na2AlNiF7.

The structure belongs to space group Imma (No. 74); the cell edges are 7.1371, 10.1647 and 7.4271 Å and the angles 90.00°, 90.00° and 90.00°. The distinct sites, in fractional coordinates, are Na at (0.0000, 0.0000, 0.0000), Na at (0.2500, 0.2500, 0.2500), Al at (0.0000, 0.0000, 0.5000), Ni at (0.2500, 0.2500, 0.7500), F at (0.0000, 0.0841, 0.2788), F at (0.0000, 0.2500, 0.8716) and F at (0.1867, 0.1124, 0.5654).
In the throes of a digital age that demands our every second, consumers are awakening to the realization that time is a precious commodity, not to be squandered. The evolution of consciousness is shifting from passive acquiescence to active custodianship, and Consumers United plays a pivotal role in this awakening.
This platform introduces a thrilling paradigm—consumers as time custodians, reclaiming stolen moments and transforming routine activities into opportunities for reward. The subtle whisper of ThrillCoin, the platform's unique utility token, underlines this paradigm shift, offering tangible incentives for the time invested.
A Symphony of Voices: United by Time Justice
As a conductor orchestrates a symphony, Consumers United unites voices globally for a shared cause—time justice. This collective consciousness against time exploitation echoes through the platform's virtual halls, where every member becomes part of a global movement, advocating for a future where time is respected and rewarded.
The subtle hum of ThrillCoin becomes the melody, the token that unites disparate voices under the banner of time justice, offering tangible rewards for the collective pursuit of reclaiming time.
Redefining Success: A Conscious Shift Towards Time Wealth
In a world fixated on traditional metrics of success, Consumers United engineers a paradigm shift—ushering in a new metric: time wealth. This evolution of consumer consciousness challenges the conventional pursuit of material wealth and invites individuals to pursue time-affluent experiences.
Here, ThrillCoin takes center stage, subtly woven into the fabric of success. It becomes the currency of time wealth, offering a tangible measure of the quality and richness of time spent.
Consumers United as the Vanguard: Pioneering a Thrilling Era
Consumers United doesn't just respond to societal needs; it leads a renaissance—a revival of the human spirit asserting its right to a life lived fully. As a vanguard, it empowers consumers to be architects of their destinies, turning routine into thrilling opportunities.
The subtle nod to ThrillCoin becomes the promise of empowerment—a reward for reclaiming stolen moments, transforming the mundane into the extraordinary.
In conclusion, as we witness the evolution of consumer consciousness, Consumers United, with ThrillCoin as its silent ally, stands as a monumental force—a catalyst for change, ushering in a thrilling future where every passing moment is valued, respected, and rewarded.